Data:
/*
A plane-wave DFT calculation with GGA+U was carried out for ZnCoBiO5 after structural relaxation.

Computed properties:
Its symmetry is Pbca, No. 61. As for the energy above the most stable polymorph in this dataset: 0.53 eV per formula unit. The total magnetic moment is 32.0 μB per cell.

a b c (Å): 5.653 15.076 10.764
angles (deg): 90.00 90.00 90.00
Element x y z (fractional)
1 Zn 0.079 0.026 0.142
2 Zn 0.079 0.474 0.642
3 Zn 0.421 0.526 0.142
4 Zn 0.421 0.974 0.642
5 Zn 0.579 0.026 0.358
6 Zn 0.579 0.474 0.858
7 Zn 0.921 0.526 0.358
8 Zn 0.921 0.974 0.858
9 Co 0.079 0.595 0.889
10 Co 0.079 0.905 0.389
11 Co 0.421 0.095 0.889
12 Co 0.421 0.405 0.389
13 Co 0.579 0.595 0.611
14 Co 0.579 0.905 0.111
15 Co 0.921 0.095 0.611
16 Co 0.921 0.405 0.111
17 Bi 0.029 0.726 0.157
18 Bi 0.029 0.774 0.657
19 Bi 0.471 0.226 0.157
20 Bi 0.471 0.274 0.657
21 Bi 0.529 0.726 0.343
22 Bi 0.529 0.774 0.843
23 Bi 0.971 0.226 0.343
24 Bi 0.971 0.274 0.843
25 O 0.086 0.016 0.697
26 O 0.086 0.484 0.197
27 O 0.109 0.153 0.507
28 O 0.109 0.347 0.007
29 O 0.143 0.152 0.198
30 O 0.143 0.348 0.698
31 O 0.167 0.047 0.957
32 O 0.167 0.453 0.457
33 O 0.205 0.686 0.797
34 O 0.205 0.814 0.297
35 O 0.295 0.186 0.797
36 O 0.295 0.314 0.297
37 O 0.333 0.547 0.957
38 O 0.333 0.953 0.457
39 O 0.357 0.652 0.198
40 O 0.357 0.848 0.698
41 O 0.391 0.653 0.507
42 O 0.391 0.847 0.007
43 O 0.414 0.516 0.697
44 O 0.414 0.984 0.197
45 O 0.586 0.016 0.803
46 O 0.586 0.484 0.303
47 O 0.609 0.153 0.993
48 O 0.609 0.347 0.493
49 O 0.643 0.152 0.302
50 O 0.643 0.348 0.802
51 O 0.667 0.047 0.543
52 O 0.667 0.453 0.043
53 O 0.705 0.686 0.703
54 O 0.705 0.814 0.203
55 O 0.795 0.186 0.703
56 O 0.795 0.314 0.203
57 O 0.833 0.547 0.543
58 O 0.833 0.953 0.043
59 O 0.857 0.652 0.302
60 O 0.857 0.848 0.802
61 O 0.891 0.653 0.993
62 O 0.891 0.847 0.493
63 O 0.914 0.516 0.803
64 O 0.914 0.984 0.303

A plane-wave DFT calculation with GGA+U was carried out for K4MgFe3P5O20 after structural relaxation.

Computed properties:
Its symmetry is Cc, No. 9.

a b c (Å): 9.860 9.860 9.664
angles (deg): 90.12 90.12 89.75
Element x y z (fractional)
1 K 0.049 0.951 0.500
2 K 0.213 0.454 0.927
3 K 0.310 0.552 0.422
4 K 0.454 0.213 0.427
5 K 0.552 0.310 0.922
6 K 0.713 0.813 0.505
7 K 0.813 0.713 0.005
8 K 0.951 0.049 0.000
9 Mg 0.187 0.808 0.174
10 Mg 0.808 0.187 0.674
11 Fe 0.074 0.308 0.251
12 Fe 0.308 0.074 0.751
13 Fe 0.453 0.689 0.752
14 Fe 0.570 0.954 0.174
15 Fe 0.689 0.453 0.252
16 Fe 0.954 0.570 0.674
17 P 0.127 0.297 0.597
18 P 0.135 0.798 0.827
19 P 0.297 0.127 0.097
20 P 0.380 0.881 0.463
21 P 0.462 0.635 0.098
22 P 0.626 0.961 0.828
23 P 0.635 0.462 0.598
24 P 0.798 0.135 0.327
25 P 0.881 0.380 0.963
26 P 0.961 0.626 0.328
27 O 0.001 0.328 0.055
28 O 0.006 0.210 0.635
29 O 0.007 0.751 0.248
30 O 0.010 0.748 0.742
31 O 0.048 0.499 0.290
32 O 0.099 0.789 0.980
33 O 0.105 0.449 0.639
34 O 0.160 0.949 0.785
35 O 0.164 0.290 0.441
36 O 0.210 0.006 0.135
37 O 0.251 0.258 0.177
38 O 0.258 0.251 0.677
39 O 0.261 0.710 0.788
40 O 0.263 0.826 0.375
41 O 0.290 0.164 0.941
42 O 0.313 0.655 0.138
43 O 0.328 0.001 0.555
44 O 0.439 0.766 0.557
45 O 0.449 0.105 0.139
46 O 0.475 0.600 0.942
47 O 0.498 0.936 0.371
48 O 0.499 0.048 0.790
49 O 0.507 0.516 0.677
50 O 0.516 0.507 0.177
51 O 0.551 0.760 0.137
52 O 0.600 0.475 0.442
53 O 0.601 0.809 0.791
54 O 0.655 0.313 0.638
55 O 0.657 0.971 0.985
56 O 0.710 0.261 0.288
57 O 0.748 0.010 0.242
58 O 0.751 0.007 0.748
59 O 0.760 0.551 0.637
60 O 0.766 0.439 0.057
61 O 0.789 0.099 0.480
62 O 0.809 0.601 0.291
63 O 0.826 0.263 0.875
64 O 0.936 0.498 0.871
65 O 0.949 0.160 0.285
66 O 0.971 0.657 0.485

A plane-wave DFT calculation with GGA+U was carried out for Li7Co5O12 after structural relaxation.

Computed properties:
Its symmetry is P-1, No. 2. As for the energy above the most stable polymorph in this dataset: 1.48 eV per formula unit. The total magnetic moment is 22.0 μB per cell.

a b c (Å): 6.432 6.592 10.065
angles (deg): 81.66 83.51 83.59
*/

Exercise:
The reader should write out everything further above without additions.

Outcome:
A plane-wave DFT calculation with GGA+U was carried out for ZnCoBiO5 after structural relaxation.

Computed properties:
Its symmetry is Pbca, No. 61. As for the energy above the most stable polymorph in this dataset: 0.53 eV per formula unit. The total magnetic moment is 32.0 μB per cell.

a b c (Å): 5.653 15.076 10.764
angles (deg): 90.00 90.00 90.00
Element x y z (fractional)
1 Zn 0.079 0.026 0.142
2 Zn 0.079 0.474 0.642
3 Zn 0.421 0.526 0.142
4 Zn 0.421 0.974 0.642
5 Zn 0.579 0.026 0.358
6 Zn 0.579 0.474 0.858
7 Zn 0.921 0.526 0.358
8 Zn 0.921 0.974 0.858
9 Co 0.079 0.595 0.889
10 Co 0.079 0.905 0.389
11 Co 0.421 0.095 0.889
12 Co 0.421 0.405 0.389
13 Co 0.579 0.595 0.611
14 Co 0.579 0.905 0.111
15 Co 0.921 0.095 0.611
16 Co 0.921 0.405 0.111
17 Bi 0.029 0.726 0.157
18 Bi 0.029 0.774 0.657
19 Bi 0.471 0.226 0.157
20 Bi 0.471 0.274 0.657
21 Bi 0.529 0.726 0.343
22 Bi 0.529 0.774 0.843
23 Bi 0.971 0.226 0.343
24 Bi 0.971 0.274 0.843
25 O 0.086 0.016 0.697
26 O 0.086 0.484 0.197
27 O 0.109 0.153 0.507
28 O 0.109 0.347 0.007
29 O 0.143 0.152 0.198
30 O 0.143 0.348 0.698
31 O 0.167 0.047 0.957
32 O 0.167 0.453 0.457
33 O 0.205 0.686 0.797
34 O 0.205 0.814 0.297
35 O 0.295 0.186 0.797
36 O 0.295 0.314 0.297
37 O 0.333 0.547 0.957
38 O 0.333 0.953 0.457
39 O 0.357 0.652 0.198
40 O 0.357 0.848 0.698
41 O 0.391 0.653 0.507
42 O 0.391 0.847 0.007
43 O 0.414 0.516 0.697
44 O 0.414 0.984 0.197
45 O 0.586 0.016 0.803
46 O 0.586 0.484 0.303
47 O 0.609 0.153 0.993
48 O 0.609 0.347 0.493
49 O 0.643 0.152 0.302
50 O 0.643 0.348 0.802
51 O 0.667 0.047 0.543
52 O 0.667 0.453 0.043
53 O 0.705 0.686 0.703
54 O 0.705 0.814 0.203
55 O 0.795 0.186 0.703
56 O 0.795 0.314 0.203
57 O 0.833 0.547 0.543
58 O 0.833 0.953 0.043
59 O 0.857 0.652 0.302
60 O 0.857 0.848 0.802
61 O 0.891 0.653 0.993
62 O 0.891 0.847 0.493
63 O 0.914 0.516 0.803
64 O 0.914 0.984 0.303

A plane-wave DFT calculation with GGA+U was carried out for K4MgFe3P5O20 after structural relaxation.

Computed properties:
Its symmetry is Cc, No. 9.

a b c (Å): 9.860 9.860 9.664
angles (deg): 90.12 90.12 89.75
Element x y z (fractional)
1 K 0.049 0.951 0.500
2 K 0.213 0.454 0.927
3 K 0.310 0.552 0.422
4 K 0.454 0.213 0.427
5 K 0.552 0.310 0.922
6 K 0.713 0.813 0.505
7 K 0.813 0.713 0.005
8 K 0.951 0.049 0.000
9 Mg 0.187 0.808 0.174
10 Mg 0.808 0.187 0.674
11 Fe 0.074 0.308 0.251
12 Fe 0.308 0.074 0.751
13 Fe 0.453 0.689 0.752
14 Fe 0.570 0.954 0.174
15 Fe 0.689 0.453 0.252
16 Fe 0.954 0.570 0.674
17 P 0.127 0.297 0.597
18 P 0.135 0.798 0.827
19 P 0.297 0.127 0.097
20 P 0.380 0.881 0.463
21 P 0.462 0.635 0.098
22 P 0.626 0.961 0.828
23 P 0.635 0.462 0.598
24 P 0.798 0.135 0.327
25 P 0.881 0.380 0.963
26 P 0.961 0.626 0.328
27 O 0.001 0.328 0.055
28 O 0.006 0.210 0.635
29 O 0.007 0.751 0.248
30 O 0.010 0.748 0.742
31 O 0.048 0.499 0.290
32 O 0.099 0.789 0.980
33 O 0.105 0.449 0.639
34 O 0.160 0.949 0.785
35 O 0.164 0.290 0.441
36 O 0.210 0.006 0.135
37 O 0.251 0.258 0.177
38 O 0.258 0.251 0.677
39 O 0.261 0.710 0.788
40 O 0.263 0.826 0.375
41 O 0.290 0.164 0.941
42 O 0.313 0.655 0.138
43 O 0.328 0.001 0.555
44 O 0.439 0.766 0.557
45 O 0.449 0.105 0.139
46 O 0.475 0.600 0.942
47 O 0.498 0.936 0.371
48 O 0.499 0.048 0.790
49 O 0.507 0.516 0.677
50 O 0.516 0.507 0.177
51 O 0.551 0.760 0.137
52 O 0.600 0.475 0.442
53 O 0.601 0.809 0.791
54 O 0.655 0.313 0.638
55 O 0.657 0.971 0.985
56 O 0.710 0.261 0.288
57 O 0.748 0.010 0.242
58 O 0.751 0.007 0.748
59 O 0.760 0.551 0.637
60 O 0.766 0.439 0.057
61 O 0.789 0.099 0.480
62 O 0.809 0.601 0.291
63 O 0.826 0.263 0.875
64 O 0.936 0.498 0.871
65 O 0.949 0.160 0.285
66 O 0.971 0.657 0.485

A plane-wave DFT calculation with GGA+U was carried out for Li7Co5O12 after structural relaxation.

Computed properties:
Its symmetry is P-1, No. 2. As for the energy above the most stable polymorph in this dataset: 1.48 eV per formula unit. The total magnetic moment is 22.0 μB per cell.

a b c (Å): 6.432 6.592 10.065
angles (deg): 81.66 83.51 83.59